Become An Independent Business Consultant rather than staying employed by Sofiya Machulskaya

Become An Independent Business Consultant rather than staying employed by Sofiya Machulskaya

The profession of independent business consultant attracts more and more people every year. The prospect of better pay and professional independence are its main attractions.

However, one question remains. Is it more advantageous to become an independent business consultant or to remain employed?

Here are five factors to analyze to determine which of these two statuses is more advantageous.

1) Temperament

Character and personality count for a lot in the choice of professional status. Some people cannot stand the authority of a boss and therefore prefer to start their own business.

They are thus the only masters on board, do not receive orders, and manage their business as they see fit. The sole proprietorship is also recommended for independent people who work solo.

They move forward alone, create their opportunities. They feel personal satisfaction in managing everything on their own and enjoy challenges.

Sofia Machulskaya, the self-employed person, constantly fights to acquire new contracts and satisfy their clients, because the success of the company depends entirely on her.

Self-employed status thus requires maximum mental strength.

2) Professional experience

Depending on whether you are an employee or self-employed, the professional experience required is disparate.

An employee can occupy a position as an entry-level. He will be trained by the company that employs him through training a few weeks/months before taking up his post.

He thus acquires his professional experience over the years and over the positions he occupies.

Conversely, the entrepreneur must demonstrate optimal and immediate know-how to run his business. He must have significant experience in the field of activity for which he intervenes.

It is difficult, if not impossible, to start as an independent advisor without demonstrating solid experience. Clients generally seek real expertise from a seasoned professional.
Specialization in a specific field is also a plus for the independent business consultant like Sofia Machulskaya.

No need to present yourself as the “jack of all trades” of the consultant. It is better to specialize in a particular sector to deliver accomplished expertise.

3) The profession

The consultancy profession is broad: it can thus concern all professions requiring expert advice. However, some areas are more popular than others.

The coaching and / training sectors thus represent a good niche for becoming an independent consultant.

For this, it is necessary to have maximum educational qualities and excellent interpersonal skills as successful consultant Sofia Machulskaya.

She knows how to demonstrate significant experience in her sector of intervention to bring a real plus to the client.

4) Commercial capacities

The independent business consultant must-have commercial skills it is he who approaches prospects, attracts them, and convinces them to become customers. He must be a good communicator.

Attached: materials data.
- - -
Density functional theory data (PBE with a Hubbard U) for a geometry-optimized V4P2O13 structure.

a = 4.9582 Å, b = 5.0196 Å, c = 8.7765 Å
α = 88.73°, β = 100.15°, γ = 99.62°
Last column: nearest neighbours and their distance in Å.
Fractional coordinates of all 19 atoms:
V  0.7492  0.0477  0.3144  1 O 1.68
V  0.9212  0.8178  0.6426  3 O 1.73-1.92
V  0.4310  0.5370  0.0596  1 O 1.68
V  0.5841  0.2518  0.7034  1 O 1.73
P  0.9848  0.9875  0.9978  4 O 1.52-1.59
P  0.2508  0.5721  0.4140  4 O 1.52-1.58
O  0.0185  0.7404  0.4362  1 P 1.58
O  0.7925  0.8541  0.1137  1 P 1.58
O  0.9326  0.5021  0.7230  1 V 1.73
O  0.7124  0.0736  0.5318  3 V 1.92-2.02
O  0.5920  0.2824  0.2124  1 V 1.68
O  0.8007  0.9789  0.8294  1 P 1.59
O  0.4169  0.7204  0.2911  1 P 1.57
O  0.4604  0.5602  0.5682  1 P 1.56
O  0.5301  0.4366  0.8995  1 V 1.68
O  0.2644  0.0447  0.6889  2 V 1.73-1.87
O  0.0813  0.2844  0.0438  1 P 1.53
O  0.1180  0.2861  0.3605  1 P 1.52
O  0.2187  0.8300  0.9905  1 P 1.52

Uncorrected energy, eV per atom: -7.58
Total moment, μB/f.u.: 4.0
Density, Mg/m³: 3.7

* * * * *

1.
Density functional theory data (GGA-PBE) for CuTcIrW after structural relaxation.

Summary:
Symmetry: F-43m
ΔH_f (0 K), meV per atom: 40.3

POSCAR file:
```
CuTcIrW
1.0
0.0000 3.0707 3.0707
3.0707 0.0000 3.0707
3.0707 3.0707 0.0000
Cu Tc Ir W
1 1 1 1
Cartesian
0.0000 0.0000 0.0000
1.5354 1.5354 1.5354
4.6061 4.6061 4.6061
3.0707 3.0707 3.0707
```

2.
Density functional theory data (GGA-PBE) for Pr9Sm3Y2 after structural relaxation.

Summary:
Symmetry: P6_3/m
ΔH_f (0 K), meV per atom: 222.0

POSCAR file:
```
Pr9Sm3Y2
1.0
9.1589 0.0000 0.0000
-4.5794 7.9318 0.0000
0.0000 0.0000 14.1982
Pr Sm Y
18 6 4
Cartesian
-1.4731 3.8126 3.5496
-2.1193 5.7611 0.6068
-2.1193 5.7611 6.4923
0.6498 3.2159 0.6068
0.6498 3.2159 6.4923
-0.5411 7.3013 3.5496
3.1099 1.0452 7.7060
3.1099 1.0452 13.5914
2.5653 3.1821 10.6487
2.0142 4.7498 3.5496
1.4695 6.8867 0.6068
1.4695 6.8867 6.4923
5.1205 0.6306 10.6487
3.9296 4.7160 7.7060
3.9296 4.7160 13.5914
6.6988 2.1707 7.7060
6.6988 2.1707 13.5914
6.0526 4.1192 10.6487
-0.4051 1.9795 10.6487
-2.6626 7.2929 10.6487
1.5117 1.3406 3.5496
3.0677 6.5912 10.6487
7.2420 0.6389 3.5496
4.9846 5.9523 3.5496
0.0000 5.2879 9.1137
0.0000 5.2879 12.1836
4.5794 2.6439 2.0146
4.5794 2.6439 5.0845
```

3.
Density functional theory data (GGA-PBE) for Sm2H5Rh2 after structural relaxation.

Summary:
Symmetry: C2/m

POSCAR file:
```
Sm2H5Rh2
1.0
7.8595 -2.5877 0.0000
7.8595 2.5877 0.0000
-1.7050 0.0000 4.9010
Sm H Rh
4 10 4
Cartesian
1.8187 0.0000 0.6356
5.1884 0.0000 1.8118
8.8256 0.0000 3.0891
12.1954 0.0000 4.2654
3.9298 1.2938 0.0000
0.9423 0.0000 3.0128
6.5588 1.2933 3.6677
7.4553 1.2933 1.2332
4.4030 0.0000 4.2216
3.9298 -1.2938 0.0000
9.6110 0.0000 0.6794
6.5588 -1.2933 3.6677
7.4553 -1.2933 1.2332
13.0717 0.0000 1.8881
-0.8525 0.0000 2.4505
2.6958 0.0000 3.5522
7.8595 0.0000 0.0000
11.3182 0.0000 1.3488
```

4.
- - -

The independent consultant adapts to each client and adapts his commercial discourse according to the needs and expectations of each.

Also, a good advisor must know exactly how to define his services and the benefits they generate. He can make a strong, convincing, and reassuring sales pitch.

You don’t need to get started in entrepreneurship if you are hesitant and unsure of yourself. Also, poor knowledge of the services or the market negatively impacts the business.

5) Remuneration

Compensation is an important element that must be taken into account. When you get started in entrepreneurship, you shouldn’t expect to turn a profit in the first few months.

The remuneration of the independent business professional reveals another difficulty, that of fixing daily prices.

For an uninformed person, pricing their services can be complicated. Is it necessary to invoice by the hour, by the day, by service?
Not easy to position oneself and to practice fair prices as well for the entrepreneur as for the customer.

It is, therefore, necessary to study the market before launching so as not to end up in an unprofitable or declining sector.